D.C. Mun. Regs. tit. 5, r. 5-B2599

Current through Register Vol. 72, No. 2, January 10, 2025
Rule 5-B2599 - DEFINITIONS

Unless the same term or phrase is defined in § 2599.2, the definitions set forth in § 2099 are incorporated in this chapter by reference and shall apply to the terms and phrases used in this chapter.


As used in this chapter, the following terms and phrases shall have the meanings ascribed:

"Alternative Educational Setting" - an educational program other than that in which the student was placed prior to disciplinary action.

"Academic Dishonesty" - any conduct that unfairly influences academic outcomes including:

(a) Plagiarism including the adoption or reproduction of ideas, words, or statements of another person or source without giving acknowledgment or credit to the person or source;
(b) Cheating including any attempt to give or obtain assistance in with a test or examination, without permission or acknowledgment;
(c) Deception including giving false information to instructional staff- for example, a student giving a false excuse for missing a deadline or making a false claim that assignment was submitted;
(d) Fabrication including altering data, information, and documents affecting any student's academic records; forging signatures of authorized instructional staff or falsifying information on an official school document, i.e. report card, letter of permission, petition, class schedule, ID card, or any other official school document;
(e) Sabotage including creating situations to prevent others from completing their work. For example, destroying another student's work, tampering with the experiments of other students; and
(f) Unauthorized Access including gaining unauthorized access to computer systems, academic or administrative records and information; viewing or altering any records, modifying computer programs or systems, releasing or distributing information gained through unauthorized access.

"Acts of Exceptional Misconduct" - any activity that would constitute a felony, gross misdemeanor, or misdemeanor under District or federal law.

"Assault" - being physically violent, using unwarranted force, or demonstrating a deliberate and immediate intent to be physically violent towards another. Assault does not include:

1) incidental touching unless it is flagrant, purposeful, repeated, or results in the threat of imminent harm; or
2) Self-Defense or the defense of someone else who is being assaulted if the force used in defense is reasonable in response to the Assault.

"Bullying"-repeated intentional behavior that occurs in order to intentionally harm others through verbal or non verbal Harassment, physical Assault, or other more subtle methods of coercion. Such behavior may include, but is not limited to, manipulation, teasing, taunting, threatening, hitting, stealing, destroying person al property, sending threatening/abusive emails, text messages, or other electronic communications.

"Distribution" - the transfer to any other person, with or without the exchange of money or other valuables.

"DCPS" - means the District of Columbia Public Schools.

Crystal structures, kept here for reference.
+++
Entry 1:
For Nd3GaAu4, DFT lattice parameters and positions (PBE) gives the computed powder diffractogram in this record (Cu Kα (λ = 1.5418 Å)).
Kinematic intensities with the Lorentz-polarization factor, no thermal factor.

Structure:
```
data_Nd3GaAu4
_chemical_formula_sum 'Nd3 Ga1 Au4'
_symmetry_space_group_name_H-M 'P 1 m 1'
_symmetry_Int_Tables_number 6
_symmetry_space_group_name_Hall 'P -2y'
_cell_length_a 5.7020
_cell_length_b 4.6910
_cell_length_c 7.3252
_cell_angle_alpha 90.00
_cell_angle_beta 91.34
_cell_angle_gamma 90.00
loop_
_atom_site_label
_atom_site_fract_x
_atom_site_fract_y
_atom_site_fract_z
Nd1 0.0000 0.0000 0.0000
Nd2 0.1975 0.0000 0.4907
Nd3 0.6908 0.5000 0.6208
Ga1 0.4702 0.5000 0.1422
Au1 0.0013 0.5000 0.2640
Au2 0.1854 0.5000 0.7822
Au3 0.4990 0.0000 0.8606
Au4 0.6671 0.0000 0.3275
```

Peak list (10 most intense, 15° ≤ 2θ ≤ 90°, by intensity)
| hkl | d_spacing | Rel. int. |
| --- | --- | --- |
| 1 1 2 | 2.556 | 1000 |
| 1 1 -2 | 2.594 | 946 |
| 0 1 2 | 2.886 | 873 |
| 2 1 -1 | 2.325 | 859 |
| 0 2 0 | 2.345 | 823 |
| 2 1 1 | 2.298 | 614 |
| 1 2 4 | 1.392 | 331 |
| 1 0 1 | 4.448 | 287 |
| 1 0 -4 | 1.754 | 273 |
| 2 0 -1 | 2.677 | 272 |

Entry 2:
For PrNdGa2Au2, DFT lattice parameters and positions (PBE) gives the computed powder diffractogram in this record (Cu Kα (λ = 1.5418 Å)).
Kinematic intensities with the Lorentz-polarization factor, no thermal factor.

Structure:
```
data_PrNdGa2Au2
_chemical_formula_sum 'Pr1 Nd1 Ga2 Au2'
_symmetry_space_group_name_H-M 'P -6 m 2'
_symmetry_Int_Tables_number 187
_symmetry_space_group_name_Hall 'P -6 2'
_cell_length_a 4.6120
_cell_length_b 4.6120
_cell_length_c 7.4927
_cell_angle_alpha 90.00
_cell_angle_beta 90.00
_cell_angle_gamma 120.00
loop_
_atom_site_label
_atom_site_fract_x
_atom_site_fract_y
_atom_site_fract_z
Pr1 0.0000 0.0000 0.0000
Nd1 0.0000 0.0000 0.5000
Ga1 0.3333 0.6667 0.2788
Au1 0.6667 0.3333 0.2420
```

Peak list (10 most intense, 15° ≤ 2θ ≤ 90°, by intensity)
| hkl | d_spacing | Rel. int. |
| --- | --- | --- |
| 1 0 2 | 2.732 | 1000 |
| 1 1 0 | 2.306 | 605 |
| 2 0 2 | 1.762 | 276 |
| 2 1 2 | 1.400 | 259 |
| 1 1 4 | 1.454 | 254 |
| 1 0 0 | 3.994 | 167 |
| 3 0 0 | 1.331 | 105 |
| 0 0 4 | 1.873 | 97 |
| 1 0 6 | 1.192 | 73 |
| 2 2 0 | 1.153 | 68 |

Entry 3:
For NdZrGa2Au2, DFT lattice parameters and positions (PBE) gives the computed powder diffractogram in this record (Cu Kα (λ = 1.5418 Å)).
Kinematic intensities with the Lorentz-polarization factor, no thermal factor.

Structure:
```
data_NdZrGa2Au2
_chemical_formula_sum 'Nd1 Zr1 Ga2 Au2'
_symmetry_space_group_name_H-M 'P -6 m 2'
_symmetry_Int_Tables_number 187
_symmetry_space_group_name_Hall 'P -6 2'
_cell_length_a 4.5192
_cell_length_b 4.5192
_cell_length_c 7.0432
_cell_angle_alpha 90.00
_cell_angle_beta 90.00
_cell_angle_gamma 120.00
loop_
_atom_site_label
_atom_site_fract_x
_atom_site_fract_y
_atom_site_fract_z
Nd1 0.0000 0.0000 0.0000
Zr1 0.0000 0.0000 0.5000
Ga1 0.3333 0.6667 0.2976
Au1 0.6667 0.3333 0.2745
```
+++

"Documented Pattern of Persistent Behavior" - repeated commission of the same or similar infraction. Behavioral occurrences on a single school day (for Elementary students) or in a single class period (for Secondary students) are considered a single infraction. To impose disciplinary action using this standard, prior infractions must be documented no later than one school day after than the occurrence of each infraction. Only infractions occurring within the current school year shall be considered in the assessment of whether a pattern of behavior exists.

"Education Plan" - includes instructional materials and written work sufficient to allow a student the opportunity to earn grades and credits of the same value as those earned by students attending classes. The plan shall also include information regarding accessing support services, such as counseling, mental health services, etc.

"Elementary" - grades preK-grade 5.

"Expulsion" - the denial of the right of a student to attend any DCPS School or program, including all classes and school activities, except DCPS Alternative Educational Settings, for one (1) calendar year.

"Extortion" or "blackmail" - obtaining, or attempting to obtain, money or property from another person, with or without that person's consent, induced by wrongful use of force or intimidation, or the Threat thereof.

"False Alarm" - triggering a fire alarm or initiating a report of fire or emergency without valid cause, or accessory to this offense.

"Fighting" - engaging in or provoking physical contact involving anger or hostility. Fighting includes, but is not limited to, the following:

(a) Engaging in mutual physical contact involving anger or hostility;
(b) Teasing, harassing, threatening or intimidating others in a manner that results in physical contact involving anger or hostility;
(c) Physical retaliation for teasing, harassing, threatening, or intimidating behavior; or
(d) Verbally inciting or physically supporting a fight through one's encouragement or presence.

"Forgery" - forging notes or letters from parents, guardians, teachers, staff members, or office personnel; or the falsification of travel plans or sign-out designations.

"Gambling" - playing cards, dice, or games of chance for money or other things of value.

"Gang" - a group of individuals that are involved in illegal, intimidating or harassing conduct.

"Gun-Free Schools Act" - Federal law requiring states to have a law in place requiring the Expulsion of a student who is found to have brought a firearm to school, 20 U.S.C. § 7151.

"Hazing" - actions taken against a person for the purpose of being initiated into a group that endangers the mental or physical health, well being or safety of a student, and results in humiliation, embarrassment, ridicule, intimidation or shame.

"Harassment" - verbal or physical conduct or communication relating to an individual's actual or perceived race, color, religion, national origin, sex, age, marital status, person al appearance, sexual orientation, gender identity or expression, familial status, family responsibilities, matriculation, political affiliation, genetic information, disability, source of income, status as a victim of an intrafamily offense, or place of residence or business, in a manner that denies or limits a student's ability to participate in or benefit from an educational program or activity or creates an intimidating, threatening or abusive environment for students, employees, or others in the school environment, or interferes with employees' performance of their job duties or the effective performance of the school-related functions of others. Harassment also includes written or verbal communications that are electronically transmitted with the intention of creating or causing the same harm described above.

"In-School Disciplinary Action" - disciplinary actions such as after-school detention, loss of privileges (including recess), exclusion from extracurricular activities, written reflection, conflict resolution, mediation, or similar actions of short duration that do not result in the student's loss of academic instruction time.

"Inappropriate Use of DCPS Computer or Network" - any use of DCPS computers or networks in violation of the DCPS Student Internet Safety and Use Policy.

"IEP" - an individualized education program as that term is defined in § 602 of the Individuals with Disabilities Education Act, approved June 4, 1997 (111 Sat. 37; 20 U.S.C. § 1401) .

(Calculated crystals, as found in the file)
********
This entry pairs a crystal structure of Ca2IrBr with its theoretical X-ray diffraction stick pattern. Radiation: a wavelength of 1.5418 Å. Structure: a structure optimized by DFT (GGA-PBE).
Neutral-atom scattering factors, no anomalous dispersion.

Structure:
```
data_Ca2IrBr
_space_group_name_H-M_alt 'P 4 m m'
_space_group_IT_number 99
_cell_length_a 4.207
_cell_length_b 4.207
_cell_length_c 5.781
_cell_angle_alpha 90.00
_cell_angle_beta 90.00
_cell_angle_gamma 90.00
loop_
_space_group_symop_operation_xyz
'x,y,z'
'-y,x,z'
'-x,-y,z'
'y,-x,z'
'-x,y,z'
'y,x,z'
'x,-y,z'
'-y,-x,z'
loop_
_atom_site_label
_atom_site_fract_x
_atom_site_fract_y
_atom_site_fract_z
_atom_site_occupancy
Ca1 0.000 0.000 0.000 1
Ca2 0.500 0.500 0.495 1
Ir1 0.000 0.000 0.496 1
Br1 0.500 0.500 0.995 1
```

Principal peaks in the range 2θ = 10–90°, by angle:
hkl 0 0 1, 15.33 deg, 5.781 Å, I 21
hkl 1 0 0, 21.12 deg, 4.207 Å, I 20
hkl 1 0 1, 26.20 deg, 3.401 Å, I 75
hkl 1 1 0, 30.04 deg, 2.975 Å, I 100
hkl 0 0 2, 30.94 deg, 2.890 Å, I 46
hkl 2 0 0, 43.00 deg, 2.103 Å, I 37
hkl 1 1 2, 43.67 deg, 2.073 Å, I 71
hkl 2 1 1, 51.05 deg, 1.789 Å, I 26
hkl 2 0 2, 53.91 deg, 1.701 Å, I 37
hkl 3 1 2, 79.28 deg, 1.208 Å, I 24

This entry pairs a crystal structure of Zr8Co3Cu with its theoretical X-ray diffraction stick pattern. Radiation: a wavelength of 1.5418 Å. Structure: a structure optimized by DFT (GGA-PBE).
Neutral-atom scattering factors, no anomalous dispersion.

Structure:
```
data_Zr8Co3Cu
_space_group_name_H-M_alt 'C 2 2 2'
_space_group_IT_number 21
_cell_length_a 5.378
_cell_length_b 9.206
_cell_length_c 9.034
_cell_angle_alpha 90.00
_cell_angle_beta 90.00
_cell_angle_gamma 90.00
loop_
_space_group_symop_operation_xyz
'x,y,z'
'-x,-y,z'
'x,-y,-z'
'-x,y,-z'
'x+1/2,y+1/2,z'
'-x+1/2,-y+1/2,z'
'x+1/2,-y+1/2,-z'
'-x+1/2,y+1/2,-z'
loop_
_atom_site_label
_atom_site_fract_x
_atom_site_fract_y
_atom_site_fract_z
_atom_site_occupancy
Zr1 0.247 0.084 0.257 1
Zr2 0.250 0.250 0.583 1
Zr3 0.250 0.250 0.916 1
Co1 0.000 0.000 0.000 1
Co2 0.000 0.000 0.500 1
Co3 0.000 0.500 0.500 1
Cu1 0.000 0.500 0.000 1
```

Principal peaks in the range 2θ = 10–90°, by angle:
hkl 2 0 0, 33.32 deg, 2.689 Å, I 22
hkl 1 3 1, 35.10 deg, 2.556 Å, I 100
hkl 1 1 3, 35.53 deg, 2.527 Å, I 97
hkl 2 2 0, 38.78 deg, 2.322 Å, I 24
hkl 2 0 2, 38.98 deg, 2.311 Å, I 23
hkl 2 2 2, 43.84 deg, 2.065 Å, I 66
hkl 0 4 2, 44.17 deg, 2.051 Å, I 34
hkl 0 2 4, 44.70 deg, 2.027 Å, I 31
hkl 3 3 1, 60.70 deg, 1.526 Å, I 19
hkl 1 5 3, 61.52 deg, 1.507 Å, I 21

This entry pairs a crystal structure of Ca4H2N with its theoretical X-ray diffraction stick pattern. Radiation: a wavelength of 1.5418 Å. Structure: a structure optimized by DFT (GGA-PBE).
Neutral-atom scattering factors, no anomalous dispersion.

Structure:
```
data_Ca4H2N
_space_group_name_H-M_alt 'I -4 2 m'
_space_group_IT_number 121
_space_group_name_Hall 'I -4 2'
_cell_length_a 6.026
_cell_length_b 6.026
_cell_length_c 8.918
_cell_angle_alpha 90.00
_cell_angle_beta 90.00
********
(The text goes on)

"Intentional Misuse of School Equipment/Supplies/Facilities" - deliberately misusing school equipment, supplies, or facilities, including failure to follow safety rules.

"Limited or no-English proficiency" - the inability to adequately understand or to express oneself in the spoken or written English language.

"Long-Term Suspension" - Suspension for eleven (11) to ninety (90) school days.

"Medium-Term Suspension" - Suspension for six (6) to ten (10) school days.

"Possession" - knowingly carrying or having an item on one's person, or exercising control over an item, that is prohibited from being on school grounds, that is either in the possession of a third-party or has been intentionally placed in a location on or near school property for the purpose of disposing of the item or retrieving the item at a future time.

"Secondary" - grade 6 or higher.

"Self-Defense" - defensive behavior that occurs while an Assault is being inflicted on oneself or another, and is not more forceful than absolutely needed to deflect the violence suffered and prevent continuing injury or harm to oneself or the other person. Examples of Self-Defense are deflecting blows without returning them and holding or holding back an attacker to keep him/her from continuing to Assault. Defensive behavior that is considerably more forceful than needed for legitimate Self-Defense may be considered Assault.

"Sexual act" - any sexual act committed among two consenting parties.

"Sexual Harassment" - deliberately harassing another person for sexual reasons or in a sexualized manner with unwanted attention, touching, or verbal comments such that the person is uncomfortable, intimidated, or threatened by the behavior.

"Short-Term Suspension" - on-site or off-site Suspension for one (1) to five (5) school days for Secondary students or one (1) to three (3) school days for Elementary students.

"Suspension" - the denial of the right of a student to attend any DCPS school or program, including all classes and school activities, except in an approved Alternative Educational Setting, in no event exceeding ninety (90) school days pursuant to the provisions of this chapter.

"Temporary Removal of Student from Classroom" - removal from the student's classroom for less than half a school day, not to extend beyond the time of dismissal on the day of the disciplinary action. During any such removal, the student shall be supervised and provided with instructional materials.

"Threat" - the communication of an intention to intimidate, harass or inflict violence, harm or terror on an individual or group of individuals, directly or indirectly, whether by physical, verbal, written, telephone, or electronic actions, which cause the other person to believe his or her life or safety, or property, is in danger.

"Trespassing" - being present on school property without permission of school authorities. This includes entering any school district property, except an approved Alternative Educational Setting, while serving an off-site Suspension or Expulsion or attending any school function at any location while serving a Suspension or Expulsion in contravention of § 2504.6.

"Use" - when referring to alcohol, marijuana or other illegal drugs, or prescription medication, means a finding, based on reasonable evidence, that a student was found to have consumed such substances without proper authorization, or that a student was found, based on reasonable evidence, to be or have been under the influence of same while under the jurisdiction of DCPS authority.

D.C. Mun. Regs. tit. 5, r. 5-B2599